The police is devoting thousands of hours arresting and imprison marijuana users. Which the majority of these people are law-abiding. Some even stay in prison for over a decade, for nothing more than possession of cannabis for personal use.
┌──
A structure of composition C56H33AsCl4F6N6O4SeW. Source: OMol25; level of theory: ωB97M-V with the def2-TZVPD basis set.

```
112
Properties=species:S:1:pos:R:3:mulliken_spin:R:1
W -0.257 -0.306 -0.287 -0.05
Cl -7.274 6.367 -0.343 0.00
C -5.942 5.243 -0.315 0.00
C -4.647 5.723 -0.406 0.00
C -3.592 4.823 -0.381 0.03
C -3.821 3.455 -0.267 0.03
C -5.132 3.000 -0.175 0.02
C -6.198 3.888 -0.198 0.00
C -2.679 2.499 -0.241 0.08
C -2.320 1.943 0.936 -0.12
C -3.031 2.210 2.163 0.12
C -2.404 1.539 3.142 -0.13
C -1.257 0.904 2.551 0.11
C -0.243 0.374 3.310 0.02
C -0.442 0.183 4.770 0.00
C -1.240 -0.863 5.225 -0.01
C -1.449 -1.062 6.582 0.00
C -0.852 -0.202 7.488 0.00
Cl -1.109 -0.442 9.194 0.00
C -0.056 0.848 7.063 0.00
C 0.144 1.034 5.703 0.00
C 0.998 0.137 2.736 0.13
N 1.238 0.155 1.377 -0.03
C 2.602 -0.022 1.266 0.05
C 3.339 -0.108 0.088 0.07
C 4.817 -0.283 0.209 0.03
C 5.613 0.799 0.576 0.01
C 6.987 0.664 0.702 0.00
C 7.563 -0.571 0.452 0.00
Cl 9.291 -0.751 0.607 0.00
C 6.795 -1.659 0.079 0.00
C 5.419 -1.512 -0.041 0.01
C 2.802 0.055 -1.167 0.05
C 3.642 0.044 -2.349 -0.07
C 2.864 0.350 -3.390 0.08
C 1.528 0.563 -2.869 -0.09
N 1.504 0.340 -1.490 0.09
C 0.476 0.898 -3.630 0.14
C -0.823 1.172 -3.037 -0.01
C -1.769 2.069 -3.734 0.00
C -2.491 2.722 -2.660 0.20
C -2.048 2.187 -1.485 -0.03
N -0.987 1.283 -1.613 -0.02
C 0.627 1.123 -5.092 0.01
C 1.414 2.181 -5.546 0.02
C 1.566 2.433 -6.900 0.00
C 0.914 1.617 -7.809 0.00
Cl 1.095 1.925 -9.514 0.00
C 0.119 0.566 -7.387 0.00
C -0.025 0.326 -6.028 0.03
C 3.199 -0.141 2.560 0.09
C 2.196 -0.070 3.469 0.01
N -1.231 1.095 1.178 0.06
H -4.470 6.787 -0.492 0.00
H -2.574 5.184 -0.452 0.00
H -5.314 1.937 -0.079 0.00
H -7.217 3.534 -0.126 0.00
H -3.886 2.860 2.241 0.01
H -2.631 1.523 4.196 -0.01
H -1.695 -1.531 4.504 0.00
H -2.064 -1.878 6.935 0.00
H 0.396 1.511 7.787 0.00
H 0.759 1.856 5.358 0.00
H 5.148 1.759 0.766 0.00
H 7.607 1.504 0.985 0.00
H 7.264 -2.612 -0.123 0.00
H 4.809 -2.350 -0.352 0.00
H 4.692 -0.192 -2.345 0.00
H 3.130 0.410 -4.431 0.00
H -1.560 2.522 -4.695 0.00
H -3.249 3.477 -2.764 0.01
H 1.914 2.813 -4.822 0.00
H 2.179 3.252 -7.249 0.00
H -0.381 -0.060 -8.113 0.00
H -0.659 -0.482 -5.694 0.00
H 4.252 -0.280 2.740 0.00
H 2.260 -0.141 4.542 -0.01
C 1.163 -4.690 3.872 0.00
C 1.895 -3.832 3.074 -0.01
C 1.271 -2.889 2.269 0.02
C -0.115 -2.789 2.254 0.01
C -0.854 -3.674 3.050 0.00
C -0.222 -4.603 3.852 0.00
N -0.879 -1.840 1.435 0.00
N -2.073 -1.853 1.785 0.00
C -2.954 -1.237 0.918 0.00
C -4.311 -1.458 1.152 0.00
C -5.217 -1.128 0.166 0.00
C -4.729 -0.634 -1.042 0.00
C -3.376 -0.391 -1.240 -0.01
C -2.446 -0.636 -0.237 0.00
H 1.660 -5.429 4.487 0.00
H 2.976 -3.890 3.052 0.00
H 1.887 -2.270 1.656 0.00
H -1.933 -3.644 3.026 0.00
H -0.821 -5.277 4.451 0.00
H -4.611 -1.928 2.080 0.00
H -6.276 -1.300 0.306 0.00
H -5.417 -0.438 -1.857 0.00
H -3.052 -0.023 -2.201 0.00
O 1.467 -2.508 -2.886 0.00
Se -0.182 -2.239 -3.288 0.00
O -1.015 -3.597 -3.237 0.00
O -0.750 -1.428 -1.743 -0.01
O -1.936 0.624 -3.784 0.04
└──
== The records of molecules stop here ==
Each year the government spends 3.6 billion dollars, enforcing laws on possession. According to the American civil Liberties Union. The times says that regular police officer can spend many hours arresting and booking a suspect. This person can spend several night in local jail, and be taken to court several times regarding the case.
Instead of spending other people's tax money on arresting people for the use of marijuana. Why not spend it trying to …show more content…
To make this study short. A team researchers from the United States, New zealand, Canada and the United Kingdom set out to explore the records of several studies involving 5,000 participants. What they found was that there appeared to be very little reasons to suspect weed use led to a greater threat of this disease.
Habitual use of marijuana alone does not led to significant abnormalities in lung function, wrote Dr. Donald Tashkin. But he also claims that the overall risks of pulmonary complications of regular use of marijuana appear to be relatively small and far lower than those who smoke tobacco. Pulmonary complications is mostly associated with Blood clots, arrhythmia and bleeding.
In a commentary regarding Dr Donald Tashkin’s study, Dr. Mark Ware, with McGill university claimed that cannabis smoking does not lead to an increase risk of chronic obstructive pulmonary disease or airway cancers. And that research for cleaner cannabinoid delivery systems should continue its development. But for now, those who smoke small amounts of cannabis for medical purpose can breath a little bit …show more content…
It also causes cancer in the kidney, head, neck, throat, lungs. Almost every organ in the body is vulnerable to cancer.
On the 31st of May on No tobacco Day. WHO releases a press conference, they stated that up to half of all tobacco users will eventually die in a tobacco-related disease.
So why is marijuana illegal? There really is no real answer to that. Just different speculations and theories.
But Steven fox, from the National Cannabis Industry Association, blames in on the government propaganda and cultural bias.
On of the most earliest propaganda materials which was against marijuana was released in 1936. Which was totally inaccurate film called Reefer Madness. The film was about marijuana causing young people to commit suicide, raping and to become criminally insane.
This and other similar lies about marijuana throughout the years. Has lead the public to have a negative perception about it.
Fox, however. Believes that as time goes, the US population will increasingly support the legalization of it.
The most recent statistics regarding this subject shows that 46 percent of the american population is in favor for legalization of